Brief:
Could you type out every line further down that contains the word "pos"?

File:
____________
(1)
129
Properties=species:S:1:pos:R:3:forces:R:3 method="wB97M-V/def2-TZVPD" gap_ev=8.702 charge=0 total_energy_ev=-93291.4216 spin_multiplicity=1
C 3.047150 -1.495068 3.636882 0.20 -0.18 0.64
C 4.513505 -1.883795 3.462667 -0.45 -0.39 -0.07
C 4.988374 -1.999705 2.000034 0.51 0.32 -0.25
B 4.232212 -1.037470 1.030579 0.56 -0.29 -0.99
O 4.745544 0.223711 0.724543 -0.36 -0.09 1.28
B 3.778183 1.174023 1.043745 0.50 0.48 -0.91
C 4.065736 2.302159 2.092218 -0.78 0.28 -0.42
C 3.014182 3.390613 2.076884 -0.27 0.50 0.04
C 2.778780 4.079046 0.876794 -0.16 0.06 0.35
C 1.795705 5.058307 0.767230 0.26 -0.40 0.47
C 1.029948 5.359479 1.890282 -0.03 -0.04 0.21
C 1.260057 4.717945 3.103206 0.56 -0.37 -0.80
C 2.255133 3.729213 3.209931 -0.35 0.14 -0.07
C 2.429867 3.062874 4.558933 0.34 0.49 -0.38
O 2.533702 1.005482 0.453223 -0.02 -0.13 0.87
B 2.111054 -0.304022 0.462229 -0.42 -0.43 -0.89
S 0.328782 -0.570113 0.508441 -0.18 0.14 0.09
C 0.169855 -2.372844 0.704954 0.10 0.55 -0.35
C -1.122285 -2.769467 1.356344 0.09 0.47 0.07
O -1.267131 -3.836314 1.854754 0.02 -0.86 0.43
O -2.114219 -1.848043 1.354412 0.10 0.45 -0.11
C -2.336391 -1.216609 2.615851 -0.30 0.18 0.21
C -3.811360 -0.957815 2.815800 0.58 -0.25 0.56
C -4.000064 -0.099084 4.058919 -0.14 0.17 -0.39
O -4.257674 -0.307875 1.621309 0.16 0.02 0.06
C -5.580097 -0.264724 1.460883 -0.52 0.30 -0.33
O -6.368447 -0.737563 2.223002 -0.29 -0.43 0.57
C -5.991060 0.478425 0.216231 0.88 0.00 0.19
S -6.751667 2.065704 0.615357 -0.47 0.18 -0.09
O 3.007573 -1.356586 0.445258 -0.16 0.17 0.94
H 2.385367 -2.243285 3.210371 -0.13 0.07 -0.34
H 2.807486 -0.496377 3.270517 -0.07 0.04 -0.24
H 2.820660 -1.484238 4.702248 -0.08 0.10 0.12
H 4.633971 -2.857482 3.932122 0.12 -0.09 0.13
H 5.136786 -1.206190 4.038600 0.13 0.24 -0.13
H 4.959349 -3.024409 1.636734 -0.30 -0.18 0.07
H 6.038083 -1.710358 1.966328 0.16 -0.04 -0.03
H 5.065602 2.712450 1.971926 0.20 -0.07 0.09
H 4.010394 1.787726 3.049468 0.34 -0.15 0.19
H 3.387011 3.815945 0.020019 -0.03 0.06 -0.15
H 1.628941 5.571737 -0.166474 0.02 0.03 -0.15
H 0.244297 6.099577 1.826206 -0.02 0.08 -0.03
H 0.665204 4.961841 3.969414 -0.07 0.07 0.13
H 2.221140 3.790536 5.336827 -0.21 -0.01 0.17
H 1.770890 2.208367 4.680999 -0.03 -0.19 0.05
H 3.462655 2.766933 4.707151 0.09 -0.26 0.11
H 0.972046 -2.731754 1.334930 0.18 -0.26 -0.09
H 0.202563 -2.856374 -0.267161 0.18 -0.13 -0.10
H -1.802283 -0.266769 2.683252 0.21 0.04 -0.34
H -1.982510 -1.852958 3.424898 -0.03 -0.16 0.06
H -4.311416 -1.908792 2.975252 -0.29 -0.08 -0.44
H -4.970325 -0.273508 4.504789 -0.10 -0.04 0.15
H -3.941062 0.952609 3.784835 0.11 0.11 0.02
H -3.207525 -0.311216 4.771041 -0.01 -0.03 0.21
H -5.121313 0.621029 -0.416908 -0.05 0.00 -0.19
H -6.726864 -0.135881 -0.284662 -0.25 0.09 -0.17
H -5.807022 2.559633 1.424981 0.19 -0.15 -0.05
C -0.991446 -11.437151 4.239567 -0.06 0.02 0.11
O -0.878023 -10.298099 5.067924 0.03 -0.09 -0.15
C 0.281035 -9.507139 4.840489 0.07 0.17 0.24
C -0.052846 -8.195754 4.159833 -0.16 -0.08 -0.16
N -0.463174 -8.391976 2.776835 -0.09 0.03 0.08
C -1.060274 -7.218962 2.136535 0.09 -0.18 -0.09
C -2.316423 -6.600307 2.739977 -0.08 0.02 -0.03
O -3.485266 -7.397063 2.625755 0.05 -0.07 0.09
C -3.620708 -8.428683 3.581766 -0.12 0.03 -0.15
H -1.770183 -12.070716 4.661334 -0.02 0.04 0.01
H -1.277128 -11.178424 3.214388 0.07 -0.04 -0.04
H -0.057861 -12.006972 4.217542 0.02 0.00 -0.05
H 1.034761 -10.065038 4.276671 -0.06 -0.02 -0.09
H 0.701633 -9.280178 5.824294 0.03 -0.03 -0.01
H 0.834349 -7.554595 4.177997 -0.01 0.03 0.01
H -0.831978 -7.707492 4.759995 0.08 0.04 0.09
H -1.122525 -9.156227 2.731885 -0.02 -0.01 0.02
H -1.303774 -7.510604 1.111701 0.02 0.05 -0.02
H -0.296156 -6.439231 2.069606 -0.02 0.05 0.05
H -2.526810 -5.698017 2.176368 -0.05 0.05 -0.05
H -2.170628 -6.282412 3.780569 0.01 -0.13 0.04
H -3.221929 -8.135520 4.556652 0.07 -0.03 0.00
H -3.137553 -9.352548 3.250380 0.07 -0.02 0.12
H -4.685162 -8.637553 3.692091 -0.01 0.04 -0.01
C -2.455509 -0.101118 -1.440177 0.05 0.12 -0.22
____________

Solution:
Properties=species:S:1:pos:R:3:forces:R:3 method="wB97M-V/def2-TZVPD" gap_ev=8.702 charge=0 total_energy_ev=-93291.4216 spin_multiplicity=1